US Covert Action: a Brief Inglorious History
THE Clinton administration has at last buried one of the great American covert operations of the post-war period. It has turned its back on Jonas Savimbi, head of UNITA, the National Union for the Total Independence of Angola, and recognized the so-called Marxist government against which it helped Mr. Savimbi wage war. But here, as elsewhere, Washington faces unintended consequences.
Covert operations by the United States began with the cold war, to oppose a Soviet Union suddenly transformed from ally to enemy that used every trick of hidden warfare to expand its influence. The end justified the means, but the price was high. Sicily should already have taught that lesson.
____________
No. 1
C37H27Cl3FN5O10PtS as an isolated structure in a non-equilibrium geometry, computed with the ωB97M-V functional and the def2-TZVPD basis.

```
85
Properties=species:S:1:pos:R:3
Pt 0.52788 1.06457 0.03788
Cl -5.29213 6.79188 0.47617
Cl -0.00910 2.77007 -2.02992
Cl -0.63265 8.16804 2.72504
S 1.23934 5.46909 -1.75050
F -1.25677 -4.89441 -2.65706
O 1.52713 -0.47684 1.65932
O -4.07320 -3.28862 2.10967
O 0.62210 -0.38444 -1.63565
O 2.42069 1.52420 -0.47132
O 1.09446 -6.65986 2.36732
O -3.05453 3.68829 -1.57041
O 4.49453 0.72887 -0.59799
O 2.78157 -2.30188 1.24859
O -3.30068 -1.28552 1.95011
O -1.01291 -6.97291 2.68725
N -1.41846 1.10753 0.78175
N -0.05192 -6.26855 2.45604
N -3.27126 2.26613 0.79989
N 3.59076 -3.10767 -0.79720
N -3.16198 -2.49117 2.04206
C -3.63068 6.40129 0.80128
C -2.61236 4.59395 -2.57822
C -1.56984 7.02108 1.83726
C -0.73492 -2.14006 1.90451
C -1.26630 5.20757 -2.29951
C -1.79361 -3.01448 2.07242
C 0.78803 -3.99019 2.07901
C 4.73914 -3.99451 -0.63813
C -0.04600 -4.42794 -2.26819
C -2.89104 7.31010 1.54251
C 2.77941 -0.84314 -0.75620
C 1.57513 -1.20850 -1.30378
C 0.29850 6.88482 -1.95951
C -2.77143 2.29824 2.08182
C -0.99663 5.82646 1.43051
C 4.75343 -4.98259 -1.79947
C 1.02958 -5.30303 -2.25151
C -1.59691 -4.37110 2.25771
C -0.29426 -4.83243 2.26384
C -3.83988 4.24290 -0.53813
C 1.68124 -1.68623 1.60938
C 0.09738 -3.10528 -1.93841
C 3.53360 -1.90249 -0.07641
C 3.28430 0.55554 -0.60793
C 3.46298 -5.79642 -1.82809
C 4.73669 -4.68565 0.72649
C 2.26779 -4.87596 -1.80798
C 0.56229 -2.63217 1.90338
C -4.37148 3.04569 0.26681
C -3.07212 5.21291 0.33808
C -0.99904 6.60217 -2.24854
C -2.43271 1.52946 0.05299
C 1.34294 -2.64821 -1.50279
C -1.61707 1.58298 2.06165
C 2.41476 -3.55134 -1.36205
C -1.75293 4.93784 0.68983
C -0.13304 4.48083 -2.06622
H -2.55611 4.00011 -3.49188
H -4.98599 3.40643 1.08881
H 5.59320 -5.35760 0.80898
H 0.03086 5.60006 1.68078
H -1.75502 7.35818 -2.41221
H -1.30600 4.01050 0.35523
H 4.80362 -3.94683 1.52536
H -2.58745 1.32472 -0.99112
H 3.82547 -5.26713 0.87470
H -3.34183 8.23136 1.88296
H -2.43287 -5.04142 2.38504
H 3.42854 -6.48365 -0.97809
H 0.75711 7.85485 -1.85366
H -0.92120 -1.08803 1.74625
H 4.84808 -4.41799 -2.73007
H -3.35195 5.38692 -2.72592
H 0.89091 -6.32111 -2.59526
H -0.93397 1.35414 2.86208
H -4.97506 2.41885 -0.38862
H 5.62746 -3.36105 -0.70483
H -0.72498 -2.40841 -2.02955
H 3.42167 -6.41081 -2.72884
H 5.62245 -5.63538 -1.71288
H -3.26666 2.82589 2.87785
H -4.70545 4.75321 -0.97051
H 1.78952 -4.39374 2.06048
H 4.51778 -1.58097 0.24550
```

For the LUMO energy (spin up / spin down), the calculation gives -1.14 / -1.22 eV. As for the energy above the lowest of the compared OMol25 structures with the same formula, charge and spin: 294.04 kJ/mol. The value obtained for the molar mass is 1054.2 Da. As for the HOMO energy (spin up / spin down): -7.647 / -7.726 eV. The value obtained for the electronic energy is -121093.6934 eV.

---

No. 2
____________
When the Allies planned to invade Sicily in 1943, they had not a single spy on the ground. The US Navy contacted Mafia boss Lucky Luciano, then in a New York prison. He and his gangsters gladly helped, for Mussolini had cracked down hard on the Sicilian Mafia. When the first troops landed, US intelligence had lists of contacts, mainly Mafiosi. When the Allied military government started constructing a democratic society, the Mafia, in positions of influence, rebuilt. From the black market it went on to c orrupt Italian politics and take a leading role in the world drug trade.
### Records of molecules that have nothing to do with the piece
Density functional theory data (the ωB97M-V functional and the def2-TZVPD basis) for a single C5H11NS molecule in a non-equilibrium geometry.

Values from the calculation:
Orbital gap: 9.77 eV
Structure (SMILES): C/C(=C\CS)CN
LUMO: 0.031 hartree
Spin multiplicity: 1
Max |F|: 0.04620 hartree/bohr
Energy above the lowest of the compared OMol25 structures with the same formula, charge and spin: 14.6 kcal/mol
Total charge: 0
Electronic energy: -650.01580 hartree

Each line ends with the Mulliken charge.
Atoms and positions in Å:
1 C 0.41857 1.71389 -0.16120  -1.380
2 C 0.38826 0.20422 -0.01227  0.851
3 C -0.64611 -0.51393 0.45793  -0.390
4 C -2.04793 0.02524 0.72304  -0.801
5 S -3.33172 -0.69551 -0.39118  -0.227
6 C 1.76089 -0.38620 -0.41763  -0.771
7 N 2.09622 -1.71599 0.02253  -0.635
8 H 0.84559 1.89095 -1.13375  0.305
9 H 1.09759 2.15481 0.59584  0.297
10 H -0.53400 2.20765 -0.01318  0.388
11 H -0.49324 -1.54626 0.58860  0.285
12 H -2.35826 -0.31872 1.71302  0.340
13 H -2.07098 1.13921 0.75903  0.294
14 H -2.93637 0.03751 -1.53708  0.133
15 H 1.89473 -0.22768 -1.46549  0.434
16 H 2.54169 0.28965 0.00819  0.335
17 H 1.66984 -1.88911 0.88706  0.268
18 H 1.70520 -2.36972 -0.62345  0.275

---

Density functional theory data (the ωB97M-V functional and the def2-TZVPD basis) for C60H58I2O4P2SSb2W as an isolated structure.

Values from the calculation:
Orbital gap: 5.42 eV
LUMO: -0.421 hartree
Spin multiplicity: 1
Max |F|: 0.00783 hartree/bohr
Energy above the lowest of the compared OMol25 structures with the same formula, charge and spin: 0.0 kcal/mol
Total charge: +4
Electronic energy: -4844.58886 hartree

Each line ends with the Mulliken charge.
Atoms and positions in Å:
1 W 0.07817 0.59460 -0.24821  -0.467
2 O -1.05778 -0.47816 1.82729  1.202
3 C -0.90545 0.21968 3.06279  -0.908
4 C -1.84332 1.16910 3.42506  -0.138
5 C -1.72421 1.81015 4.64798  -1.105
6 C -0.67743 1.49737 5.50270  -1.093
7 C 0.25999 0.55262 5.12148  0.324
8 C 0.17105 -0.10018 3.88945  -0.684
9 P 1.43728 -1.28398 3.32292  1.683
10 C 2.92459 -0.57934 4.04554  0.641
11 C 3.88420 -1.38459 4.68845  -0.417
12 C 5.04418 -0.82151 5.14327  -0.908
13 C 5.35510 0.58010 4.91343  -0.587
14 C 4.32535 1.37641 4.25959  -0.949
15 C 3.17220 0.81902 3.83585  -0.569
16 C 1.15669 -2.84553 4.18915  0.320
17 C 1.85239 -3.96132 3.71768  -0.416
18 C 1.68659 -5.19223 4.33232  -0.781
19 C 0.80231 -5.32081 5.39717  -0.762
20 C 0.09518 -4.21700 5.85538  -0.798
21 C 0.27184 -2.97724 5.25766  -0.423
22 C -2.40348 -0.89529 1.66832  -0.554
23 C -3.00937 -1.56882 2.72052  -0.276
24 C -4.35931 -1.86016 2.66046  -0.836
25 C -5.11693 -1.46249 1.56112  -1.012
26 C -4.49628 -0.83847 0.49962  0.155
27 C -3.11875 -0.56674 0.52349  -0.600
28 P -2.35560 0.00725 -1.00514  2.691
29 C -3.29796 1.48831 -1.47145  0.590
30 C -3.69287 2.33781 -0.43000  -0.221
31 C -4.48993 3.43978 -0.68861  -0.737
32 C -4.91044 3.70452 -1.98621  -0.863
33 C -4.52445 2.86753 -3.02300  -1.035
34 C -3.72281 1.76343 -2.77221  -0.457
After the war, covert action was aimed chiefly against the Soviet Union. In 1953, the US secretly ousted Prime Minister Muhammad Mossadeq of Iran, who hated the British and had nationalized the Anglo-Iranian Oil Company. If anything, Mr. Mossadeq was a reactionary nationalist, but in accepting the communist Tudeh Party's support he aroused the suspicions of the Eisenhower administration. The CIA coup, textbook swift, restored the young Shah to power. Successive US presidents valued the Shah as a pillar o f stability, blind to the fact that his megalomania alienated his people and opened the way for Ayatollah Khomeini, whose mullahs rule Iran today.
A more elaborate plot overthrew President Jacobo Arbenz of Guatemala in 1954. Washington denounced him as a communist on the flimsiest grounds. Feeling the pressure, he accepted Moscow's offer of some Czech weapons. More to the point, he had launched a land-reform program that largely expropriated the huge United Fruit Company (with the offer of compensation). The CIA organized a small invasion force. Arbenz fled, and United Fruit got its land back. However, since then Guatemala has lived a nightmare of harsh military rule, death squads, and bloody punitive expeditions against the Indian peasants. Nothing like it exists today in Latin America.
== Attached: records of molecules ==
+++
96
Properties=species:S:1:pos:R:3:forces:R:3 method="wB97M-V/def2-TZVPD" multiplicity=1 e_above_lowest_ev=0.173 energy_ev=-79441.3130 largest_force_ev_per_a=0.51
Sc -0.61594 -0.02865 0.56470 -0.22 -0.02 -0.46
C 1.07490 -1.20425 -3.43570 0.01 0.02 -0.07
C 0.78722 -1.46212 -1.97219 0.04 0.07 0.02
C -0.42124 -2.34116 -1.77041 -0.09 -0.11 0.01
O 1.92952 -2.02641 -1.34811 0.08 -0.02 0.01
C 2.34272 -1.22426 -0.23209 -0.12 0.00 -0.03
C 1.90439 0.14775 -0.76747 0.00 0.17 0.19
O 0.59724 -0.18458 -1.29855 0.19 0.00 0.04
C 1.76645 1.44679 0.05733 -0.04 -0.16 0.27
O 0.71587 1.32093 0.96701 -0.11 0.01 -0.22
C 1.45979 2.61068 -0.90690 0.07 0.06 -0.01
C 2.26851 2.88644 -2.00808 0.01 -0.05 -0.05
C 1.98213 3.94584 -2.85557 -0.03 0.02 0.01
C 0.88841 4.76597 -2.60342 0.01 -0.02 0.00
C 0.09245 4.51255 -1.49757 0.01 0.00 0.03
C 0.37412 3.44107 -0.65710 0.04 0.08 0.01
C 3.08855 1.74753 0.77222 0.01 0.03 0.03
C 4.33088 1.49686 0.19330 0.00 0.02 0.01
C 5.50376 1.83141 0.85620 -0.02 0.02 0.02
C 5.45015 2.42778 2.10752 -0.02 0.01 -0.03
C 4.21572 2.67704 2.69034 -0.03 0.02 -0.03
C 3.04379 2.33848 2.02895 0.01 0.01 0.02
C 1.74752 -1.78613 1.09157 -0.01 0.09 0.09
O 0.36485 -1.57114 1.13907 -0.01 0.10 0.01
C 2.01217 -3.29904 1.17618 0.03 0.02 -0.02
C 3.13052 -3.91022 0.61781 0.02 0.00 -0.02
C 3.35351 -5.26988 0.78592 0.00 0.00 0.01
C 2.46092 -6.04084 1.51614 -0.01 0.03 -0.01
C 1.34173 -5.43879 2.07350 0.02 0.02 -0.01
C 1.12104 -4.07918 1.90463 0.00 -0.03 -0.03
C 2.44032 -1.15092 2.31121 -0.02 0.00 0.00
C 3.82913 -1.11180 2.41395 0.04 0.00 0.02
C 4.44673 -0.59103 3.54043 -0.02 -0.03 0.00
C 3.68353 -0.11310 4.59708 0.00 -0.03 -0.01
C 2.30165 -0.16188 4.51096 -0.01 -0.01 -0.01
C 1.68712 -0.67662 3.37653 0.07 0.02 0.04
H 1.45327 -2.12050 -3.88899 -0.01 0.01 0.01
H 1.82649 -0.42155 -3.55150 -0.02 -0.03 0.00
H 0.16131 -0.89988 -3.95190 0.07 0.00 0.05
H -0.27059 -3.26339 -2.33077 0.01 -0.02 0.00
H -1.31844 -1.85721 -2.15136 -0.03 0.01 0.01
H -0.53493 -2.60286 -0.71905 -0.01 0.00 -0.03
H 3.42645 -1.26433 -0.19526 0.09 -0.02 -0.01
H 2.56335 0.36698 -1.60669 0.01 -0.13 -0.12
H 3.14649 2.28239 -2.21070 -0.05 0.05 0.00
H 2.62176 4.13796 -3.70829 -0.01 0.00 0.01
H 0.66672 5.59826 -3.25972 0.00 -0.02 0.01
H -0.76017 5.14516 -1.28367 0.01 0.00 -0.01
H -0.25022 3.25121 0.20381 0.01 -0.01 0.00
H 4.40943 1.03241 -0.78267 0.00 0.00 0.00
H 6.45945 1.62352 0.39048 -0.01 0.00 0.01
H 6.36307 2.68998 2.62757 -0.01 -0.01 -0.01
H 4.16243 3.12997 3.67349 0.00 -0.02 -0.03
H 2.07948 2.51118 2.48911 0.04 -0.01 -0.02
H 3.83717 -3.34101 0.02559 -0.03 -0.02 0.03
H 4.22680 -5.72730 0.33673 -0.02 0.01 0.01
H 2.63442 -7.10143 1.64677 0.00 0.01 0.00
H 0.63516 -6.02886 2.64396 0.01 0.00 0.00
H 0.24614 -3.60961 2.33346 0.01 0.00 0.00
H 4.45146 -1.50277 1.61735 -0.01 0.00 0.02
H 5.52824 -0.55927 3.59144 -0.02 0.00 0.00
H 4.16421 0.29137 5.47960 -0.01 -0.01 -0.02
H 1.69197 0.20084 5.33007 0.01 -0.01 -0.02
H 0.60970 -0.71916 3.32803 -0.05 -0.02 -0.01
C -5.91681 2.14082 0.70637 -0.03 0.07 -0.02
+++
Operation Zapata, which died in the Bay of Pigs in 1961, was also meant to overthrow a government. The 1,400 Cuban exiles in Brigade 2506 fought like lions, but the CIA's planning was absurdly amateurish, and direct US help was denied. The defeat consolidated Fidel Castro's rule at a time when internal opposition against him was growing. He gained international stature and value to the Kremlin. He sent 50,000 troops to Africa and helped push Soviet weapons and supplies to the Nicaraguan Sandinistas and t he rebels in El Salvador. Even today he poses as the Cuban David against the Yankee Goliath that has tried at least eight times to murder him.
Billions of dollars went to the mujahideen of Afghanistan, who defeated the Soviet army in seven years of bitter war. Washington sent them money and weapons through Pakistan's inter-service intelligence. The largest share, by far, went to the most radical Islamic fundamentalist group, led by Gulbuddin Hekmatyar. Today, he is fighting other guerrilla groups, devastating Kabul, to seize full power and establish an Islamic regime. The US is trying to recover leftover Stinger missiles. Pakistan is expelling Arab volunteers who learned guerrilla war from the mujahideen and are now looking for service against "enemies of Islam" elsewhere.
As for Angola, "Marxism" in Africa has been only a label used by one-party systems to command obedience and get help from Moscow. It has now disappeared from Africa, as it would have in any case. But American administrations have supported any hustler who called himself anti-communist. Savimbi was an unsavory party in a struggle for power; he refused to accept defeat in a free election. In backing his UNITA, Washington found itself in bed with the apartheid right of South Africa, which simply wanted the war to continue, and with President Mobutu Sese Seko of neighboring Zaire who provided the supply line. Mr. Mobutu, one of the richest men on earth, has raised extortion to unbelievable heights, beggaring a rich country in whose capital people starve. Mobutu along with Savimbi, who is armed to the teeth with American and South African weapons, remain to bedevil Africa. "Solving" a political problem by nonpolitical action is an illusion. If Washington has learned this lesson it is not a day too soon.